(Job)
Copy only the last part of the entries underneath, starting with the line that has "3.1410", please.

(Material)
'''
[1]
Below is a single C18H19ClN4O2 molecule, with properties calculated with ωB97M-V/def2-TZVPD.

Last columns: bonded neighbours and bond lengths (Å).
Cartesian coordinates (Å):
1 O 1.8389 -1.3640 -3.2601  C5 1.216
2 Cl -1.7511 -5.3711 2.7347  C12 1.772
3 N -2.7005 2.2082 3.1410  C6 1.364, C7 1.321
4 O 0.5263 -0.7135 -0.1329  C13 1.372, C20 1.470
5 C 1.8258 -0.6287 -2.2914  O1 1.216, N19 1.409, C20 1.560
6 C -2.3036 2.0297 1.8487  N3 1.364, C8 1.401, H26 1.090
7 C -2.4269 1.1984 3.9476  N3 1.321, C9 1.389, N17 1.363
8 C -1.7301 0.8623 1.3278  C6 1.401, C14 1.402, H27 1.073
9 C -1.8591 0.0007 3.5309  C7 1.389, C14 1.390, H28 1.086
10 C -1.6088 -2.6526 2.2507  C12 1.408, C15 1.390, H29 1.071
11 C -0.3149 -4.0664 0.7830  C12 1.393, C16 1.399, H30 1.074
12 C -1.2221 -3.9402 1.8328  Cl2 1.772, C10 1.408, C11 1.393
13 C -0.1695 -1.6342 0.6086  O4 1.372, C15 1.409, C16 1.382
14 C -1.5362 -0.2204 2.1969  C8 1.402, C9 1.390, C15 1.458
15 C -1.0738 -1.5033 1.6816  C10 1.390, C13 1.409, C14 1.458
16 C 0.1742 -2.9026 0.1799  C11 1.399, C13 1.382, C21 1.519
17 N -2.7954 1.3725 5.2481  C7 1.363, H31 1.015, H32 0.999
18 N 0.8934 3.1854 -2.9411  C22 1.509, C23 1.487, H33 1.033
19 N 2.1217 0.7377 -2.4629  C5 1.409, C24 1.470, C25 1.477
20 C 1.6079 -1.3296 -0.9151  O4 1.470, C5 1.560, C21 1.543, H34 1.100
21 C 1.2213 -2.8233 -0.9181  C16 1.519, C20 1.543, H35 1.097, H36 1.115
22 C 1.1099 2.2773 -4.1268  N18 1.509, C24 1.535, H37 1.111, H38 1.103
23 C 0.7827 2.5401 -1.6060  N18 1.487, C25 1.505, H39 1.111, H40 1.070
24 C 2.2694 1.3247 -3.8025  N19 1.470, C22 1.535, H41 1.085, H42 1.067
25 C 2.0032 1.6984 -1.3479  N19 1.477, C23 1.505, H43 1.111, H44 1.101
26 H -2.5334 2.8558 1.1753  C6 1.090
27 H -1.5226 0.7506 0.2813  C8 1.073
28 H -1.6961 -0.7773 4.2710  C9 1.086
29 H -2.2919 -2.5297 3.0659  C10 1.071
30 H 0.0542 -5.0147 0.4396  C11 1.074
31 H -3.3689 2.2037 5.3539  N17 1.015
32 H -3.0227 0.5572 5.7780  N17 0.999
33 H 1.6194 3.9191 -2.9094  N18 1.033
34 H 2.5381 -1.2475 -0.3330  C20 1.100
35 H 2.0728 -3.5008 -0.7812  C21 1.097
36 H 0.7410 -3.1386 -1.8733  C21 1.115
37 H 0.2008 1.6648 -4.3072  C22 1.111
38 H 1.3316 2.8594 -5.0369  C22 1.103
39 H -0.1046 1.8723 -1.6267  C23 1.111
40 H 0.7009 3.3232 -0.8812  C23 1.070
41 H 2.3146 0.5891 -4.5989  C24 1.085
42 H 3.2327 1.7809 -3.8564  C24 1.067
43 H 2.9259 2.3171 -1.3140  C25 1.111
44 H 1.9254 1.2299 -0.3543  C25 1.101

## Properties
- LUMO (eV) = 0.34
- ΔE to the lowest compared entry with this formula, charge and spin (kcal/mol) = 0.00
- E (a.u.) = -1527.016643
- SMILES = Nc1cc(-c2cc(Cl)cc3c2O[C@H](C(=O)N2CCNCC2)C3)ccn1
- HOMO level (eV) = -8.431
- HOMO-LUMO gap (eV) = 8.77

Per-atom Mulliken charges, elementary charge units: number 1, O, carries -0.67; number 2, Cl, carries -0.24; number 3, N, carries -0.67; number 4, O, carries -0.34; number 5, C, carries 0.42; number 6, C, carries -0.49; number 7, C, carries 0.36; number 8, C, carries -0.73; number 9, C, carries -0.47; number 10, C, carries -1.06; number 11, C, carries -0.86; number 12, C, carries -0.02; number 13, C, carries -0.57; number 14, C, carries 0.65; number 15, C, carries 0.68; number 16, C, carries 1.34; number 17, N, carries -0.48; number 18, N, carries -0.40; number 19, N, carries 0.11; number 20, C, carries 0.14; number 21, C, carries -1.05; number 22, C, carries -0.63; number 23, C, carries -0.53; number 24, C, carries -0.83; number 25, C, carries -0.67; number 26, H, carries 0.39; number 27, H, carries 0.46; number 28, H, carries 0.46; number 29, H, carries 0.64; number 30, H, carries 0.50; number 31, H, carries 0.28; number 32, H, carries 0.22; number 33, H, carries 0.29; number 34, H, carries 0.32; number 35, H, carries 0.45; number 36, H, carries 0.32; number 37, H, carries 0.26; number 38, H, carries 0.39; number 39, H, carries 0.24; number 40, H, carries 0.34; number 41, H, carries 0.37; number 42, H, carries 0.39; number 43, H, carries 0.36; number 44, H, carries 0.32

***

[2]
'''

(Reply)
3 N -2.7005 2.2082 3.1410  C6 1.364, C7 1.321
4 O 0.5263 -0.7135 -0.1329  C13 1.372, C20 1.470
5 C 1.8258 -0.6287 -2.2914  O1 1.216, N19 1.409, C20 1.560
6 C -2.3036 2.0297 1.8487  N3 1.364, C8 1.401, H26 1.090
7 C -2.4269 1.1984 3.9476  N3 1.321, C9 1.389, N17 1.363
8 C -1.7301 0.8623 1.3278  C6 1.401, C14 1.402, H27 1.073
9 C -1.8591 0.0007 3.5309  C7 1.389, C14 1.390, H28 1.086
10 C -1.6088 -2.6526 2.2507  C12 1.408, C15 1.390, H29 1.071
11 C -0.3149 -4.0664 0.7830  C12 1.393, C16 1.399, H30 1.074
12 C -1.2221 -3.9402 1.8328  Cl2 1.772, C10 1.408, C11 1.393
13 C -0.1695 -1.6342 0.6086  O4 1.372, C15 1.409, C16 1.382
14 C -1.5362 -0.2204 2.1969  C8 1.402, C9 1.390, C15 1.458
15 C -1.0738 -1.5033 1.6816  C10 1.390, C13 1.409, C14 1.458
16 C 0.1742 -2.9026 0.1799  C11 1.399, C13 1.382, C21 1.519
17 N -2.7954 1.3725 5.2481  C7 1.363, H31 1.015, H32 0.999
18 N 0.8934 3.1854 -2.9411  C22 1.509, C23 1.487, H33 1.033
19 N 2.1217 0.7377 -2.4629  C5 1.409, C24 1.470, C25 1.477
20 C 1.6079 -1.3296 -0.9151  O4 1.470, C5 1.560, C21 1.543, H34 1.100
21 C 1.2213 -2.8233 -0.9181  C16 1.519, C20 1.543, H35 1.097, H36 1.115
22 C 1.1099 2.2773 -4.1268  N18 1.509, C24 1.535, H37 1.111, H38 1.103
23 C 0.7827 2.5401 -1.6060  N18 1.487, C25 1.505, H39 1.111, H40 1.070
24 C 2.2694 1.3247 -3.8025  N19 1.470, C22 1.535, H41 1.085, H42 1.067
25 C 2.0032 1.6984 -1.3479  N19 1.477, C23 1.505, H43 1.111, H44 1.101
26 H -2.5334 2.8558 1.1753  C6 1.090
27 H -1.5226 0.7506 0.2813  C8 1.073
28 H -1.6961 -0.7773 4.2710  C9 1.086
29 H -2.2919 -2.5297 3.0659  C10 1.071
30 H 0.0542 -5.0147 0.4396  C11 1.074
31 H -3.3689 2.2037 5.3539  N17 1.015
32 H -3.0227 0.5572 5.7780  N17 0.999
33 H 1.6194 3.9191 -2.9094  N18 1.033
34 H 2.5381 -1.2475 -0.3330  C20 1.100
35 H 2.0728 -3.5008 -0.7812  C21 1.097
36 H 0.7410 -3.1386 -1.8733  C21 1.115
37 H 0.2008 1.6648 -4.3072  C22 1.111
38 H 1.3316 2.8594 -5.0369  C22 1.103
39 H -0.1046 1.8723 -1.6267  C23 1.111
40 H 0.7009 3.3232 -0.8812  C23 1.070
41 H 2.3146 0.5891 -4.5989  C24 1.085
42 H 3.2327 1.7809 -3.8564  C24 1.067
43 H 2.9259 2.3171 -1.3140  C25 1.111
44 H 1.9254 1.2299 -0.3543  C25 1.101

## Properties
- LUMO (eV) = 0.34
- ΔE to the lowest compared entry with this formula, charge and spin (kcal/mol) = 0.00
- E (a.u.) = -1527.016643
- SMILES = Nc1cc(-c2cc(Cl)cc3c2O[C@H](C(=O)N2CCNCC2)C3)ccn1
- HOMO level (eV) = -8.431
- HOMO-LUMO gap (eV) = 8.77

Per-atom Mulliken charges, elementary charge units: number 1, O, carries -0.67; number 2, Cl, carries -0.24; number 3, N, carries -0.67; number 4, O, carries -0.34; number 5, C, carries 0.42; number 6, C, carries -0.49; number 7, C, carries 0.36; number 8, C, carries -0.73; number 9, C, carries -0.47; number 10, C, carries -1.06; number 11, C, carries -0.86; number 12, C, carries -0.02; number 13, C, carries -0.57; number 14, C, carries 0.65; number 15, C, carries 0.68; number 16, C, carries 1.34; number 17, N, carries -0.48; number 18, N, carries -0.40; number 19, N, carries 0.11; number 20, C, carries 0.14; number 21, C, carries -1.05; number 22, C, carries -0.63; number 23, C, carries -0.53; number 24, C, carries -0.83; number 25, C, carries -0.67; number 26, H, carries 0.39; number 27, H, carries 0.46; number 28, H, carries 0.46; number 29, H, carries 0.64; number 30, H, carries 0.50; number 31, H, carries 0.28; number 32, H, carries 0.22; number 33, H, carries 0.29; number 34, H, carries 0.32; number 35, H, carries 0.45; number 36, H, carries 0.32; number 37, H, carries 0.26; number 38, H, carries 0.39; number 39, H, carries 0.24; number 40, H, carries 0.34; number 41, H, carries 0.37; number 42, H, carries 0.39; number 43, H, carries 0.36; number 44, H, carries 0.32

***

[2]